42 use json_module,
only : json_file, json_core, json_value
55 character(len=80),
allocatable :: names(:)
57 integer :: n_zones = 0
59 integer :: n_external_zones = 0
61 integer :: n_internal_zones = 0
64 character(len=:),
allocatable :: operator
82 type(json_file),
intent(inout) :: json
83 integer,
intent(in) :: size
86 type(json_core) :: core
88 type(json_value),
pointer :: source_object, source_pointer
90 character(len=:),
allocatable :: buffer
92 type(json_file) :: source_subdict
93 character(len=:),
allocatable :: type_name
94 character(len=:),
allocatable :: type_string
96 character(len=:),
allocatable :: str_read
97 integer :: i, n_zones, i_internal, i_external
98 logical :: found, invert
100 call json_get(json,
"name", str_read)
102 call this%init_base(
size, trim(str_read), invert)
104 call json%get_core(core)
105 call json%get(
'subsets', source_object, found)
107 if (.not. found)
call neko_error(
"No subsets found")
109 this%n_zones = core%count(source_object)
112 if (this%n_zones .gt. 0)
113 allocate(this%zones(this%n_zones))
118 do i = 1, this%n_zones
120 call core%get_child(source_object, i, source_pointer, found)
121 call core%print_to_string(source_pointer, buffer)
122 call source_subdict%load_from_string(buffer)
124 if (.not. source_subdict%valid_path(
125 this%n_external_zones = this%n_external_zones + 1
129 this%n_internal_zones = this%n_zones - this%n_external_zones
130 if (this%n_external_zones .gt. 0) &
131 allocate(this%names(this%n_external_zones))
132 if (this%n_internal_zones .gt. 0) &
133 allocate(this%internal_zones(this%n_internal_zones))
140 do i = 1, this%n_zones
143 call core%get_child(source_object, i, source_pointer, found)
144 call core%print_to_string(source_pointer, buffer)
145 call source_subdict%load_from_string(buffer)
147 if (source_subdict%valid_path(
148 call point_zone_factory(this%internal_zones(i_internal)%pz, &
151 this%internal_zones(i_internal)%pz)
152 i_internal = i_internal + 1
154 call json_get(source_subdict,
"name", type_name)
155 this%names(i_external) = trim(type_name)
156 i_external = i_external + 1
162 call json_get(json,
"operator", this%operator)
163 select case (trim(this%operator))
168 call neko_error(
"Unknown operator " // trim(this%operator))
187 if (
188 do i = 1, this%n_zones
189 nullify(this%zones(i)%pz)
191 deallocate(this%zones)
194 if (
195 do i = 1, this%n_internal_zones
196 call this%internal_zones(i)%pz%free
198 deallocate(this%internal_zones)
201 if (
204 this%n_internal_zones = 0
205 this%n_external_zones = 0
206 call this%free_base()
222 real(kind=
intent(in) :: x
223 real(kind=
intent(in) :: y
224 real(kind=
intent(in) :: z
225 integer,
intent(in) :: j
226 integer,
intent(in) :: k
227 integer,
intent(in) :: l
228 integer,
intent(in) :: e
233 is_inside = this%zones(1)%pz%criterion(x, &
234 y, z, j, k, l, e) .neqv. this%zones(1)%pz%invert
236 do i = 2, this%n_zones
237 select case (trim(this%operator))
239 is_inside = is_inside .or. (this%zones(i)%pz%criterion(x, &
240 y, z, j, k, l, e) .neqv. this%zones(i)%pz%invert)
243 is_inside = is_inside .and. (this%zones(i)%pz%criterion(x, &
244 y, z, j, k, l, e) .neqv. this%zones(i)%pz%invert)
247 is_inside = is_inside .neqv. (this%zones(i)%pz%criterion(x, &
248 y, z, j, k, l, e).neqv. this%zones(i)%pz%invert)
Retrieves a parameter by name or assigns a provided default value. In the latter case also adds the m...
Retrieves a parameter by name or throws an error.
subroutine combine_point_zone_free(this)
subroutine assign_point_zone(pt, tgt)
subroutine combine_point_zone_init_from_json(this, json, size)
== Unrelated to this piece: data records ==
ORCA calculation (ωB97M-V with the def2-TZVPD basis set) on an isolated molecule of C3H5N3O in a non-equilibrium geometry.

Each line ends with the Löwdin charge.
Atoms and positions in Å:
O (2.15933, 0.79387, -0.47079)  -0.032
C (0.86100, 1.03892, -0.07547)  -0.240
C (0.21875, 0.08377, 0.93038)  -0.339
N (0.33352, -1.19727, 0.48734)  0.091
N (-0.89581, -1.45397, 0.09084)  0.004
C (-1.73862, -0.37365, 0.29768)  -0.188
N (-1.05081, 0.52027, 1.00619)  0.073
H (2.26793, -0.16693, -0.50260)  0.086
H (0.09266, 0.81766, -0.90535)  0.125
H (0.70857, 2.08931, 0.16501)  0.124
H (-1.11276, -2.33496, -0.35341)  0.149
H (-1.84376, 0.18299, -0.66982)  0.147

Energy above the lowest of the compared OMol25 structures with the same formula, charge and spin ... 127.93 kcal/mol
E_tot ... -9705.0363 eV
Charge ... 0
Structure (SMILES) ... OCc1nc[nH]n1

=====

ORCA calculation (ωB97M-V with the def2-TZVPD basis set) on an isolated molecule of C3H5N3O.

Each line ends with the Löwdin charge.
Atoms and positions in Å:
O (2.32396, -0.23578, -1.40023)  -0.034
C (1.60227, -0.05735, -0.21328)  -0.189
C (0.24733, 0.50442, -0.46604)  -0.362
N (-0.57053, 0.84142, -1.33106)  0.252
N (-2.21692, -0.72537, 0.24881)  0.105
C (-1.78932, 0.33240, 0.78959)  -0.303
N (-0.78907, 1.18222, 0.22432)  0.003
H (2.38958, 0.61939, -1.84650)  0.101
H (2.09975, 0.61493, 0.50354)  0.134
H (1.50647, -1.03821, 0.26335)  0.137
H (-2.96765, -1.12118, 0.81321)  0.047
H (-2.14788, 0.76493, 1.73048)  0.108

Energy above the lowest of the compared OMol25 structures with the same formula, charge and spin ... 102.88 kcal/mol
E_tot ... -9706.1223 eV
Charge ... 0
Structure (SMILES) ... [H]/N=C/N1N=C1CO

=====

ORCA calculation (ωB97M-V with the def2-TZVPD basis set) on C3H5N3O as an isolated structure in a non-equilibrium geometry.

Each line ends with the Löwdin charge.
Atoms and positions in Å:
N (-0.87364, -0.60558, -0.67773)  0.122
C (0.12584, -0.72185, 0.47974)  -0.377
C (-0.08748, 0.56168, -0.44081)  -0.513
N (-0.60388, 1.82404, -0.34034)  0.125
C (1.41690, -0.74003, -0.25329)  -0.064
O (-0.26045, -1.24504, 1.67681)  0.050
N (1.25857, 0.27864, -1.02822)  0.143
H (-0.55901, -2.15855, 1.55402)  0.114
H (-1.80787, -0.46655, -0.29145)  0.104
H (-0.19484, 2.47808, -0.99858)  0.093
H (-0.66071, 2.22556, 0.58597)  0.096
H (2.24657, -1.43039, -0.26612)  0.108

Energy above the lowest of the compared OMol25 structures with the same formula, charge and spin ... 105.51 kcal/mol
E_tot ... -9706.0086 eV
Charge ... 0

=====

ORCA calculation (ωB97M-V with the def2-TZVPD basis set) on an isolated molecule of C3H5N3O in a non-equilibrium geometry.

Each line ends with the Löwdin charge.
Atoms and positions in Å:
C (0.58983, 0.59734, 0.49125)  -0.417
C (0.34102, -0.68467, 0.84585)  -0.197
C (-1.17641, 0.13346, -1.01488)  -0.258
O (1.24558, 1.44581, 1.31590)  0.084
N (-0.23329, 1.06470, -0.46099)  0.040
N (0.77525, -1.75160, 1.18681)  0.100
N (-0.92845, -0.75283, -1.91116)  0.120
H (1.72246, 0.89537, 1.96639)  0.129
Constructor from json object file. Reads.
pure logical function combine_point_zone_criterion(this, x, y, z, j, k, l, e)
Defines the criterion of selection of a GLL point in the combined point zone.
Implements a cylinder geometry subset.
Utilities for retrieving parameters from the case files.
type(log_t), public neko_log
Global log stream.
integer, parameter, public rp
Global precision used in computations.
character(:) function, allocatable, public concat_string_array(array, sep, prepend)
Concatenate an array of strings into one string with array items separated by spaces.
A point zone that combines different point zones.
A cylindrical point zone.
A helper type to build a list of pointers to point_zones.
Base abstract type for point zones.
A helper type to build a list of polymorphic point_zones.
A sphere-shaped point zone.